Data =
____________
No. 1
A plane-wave DFT calculation with PBE-GGA was carried out for a relaxed Tb14PrCd crystal.

The structure in extended XYZ format:
```
16
Lattice="-3.258 5.428 2.741 -4.023 -2.151 -5.175 -5.334 -6.702 6.933" Properties=species:S:1:pos:R:3 pbc="T T T"
Tb -6.062 0.722 4.792
Tb -6.397 -2.600 1.323
Tb -8.348 0.007 2.342
Tb -7.868 -5.821 1.386
Tb -5.643 -5.227 3.909
Tb -4.112 -1.899 3.758
Tb -7.137 0.170 -1.115
Tb -2.874 -1.749 0.310
Tb -5.591 3.429 -0.987
Tb -7.558 -2.546 4.869
Tb -9.906 -3.309 2.484
Tb -1.515 1.594 0.376
Tb -5.244 -2.524 -2.025
Tb -4.886 0.812 1.395
Cd -3.381 4.216 1.475
Pr -3.733 0.728 -2.167
```

## Properties
- Crystal system: orthorhombic
- Space group: Amm2, No. 38
- DOS at the Fermi energy: 23.5 states/eV per cell
- Energy relative to the elements: 0.4 eV/f.u.

---

No. 2
A plane-wave DFT calculation with PBE-GGA was carried out for a relaxed Tb3Pr5Cd crystal.

The structure in extended XYZ format:
```
18
Lattice="10.141 0.241 0.286 3.008 9.688 0.286 4.634 3.499 7.288" Properties=species:S:1:pos:R:3 pbc="T T T"
Pr 12.357 5.388 3.022
Pr 15.079 11.386 7.312
Pr 8.399 6.342 2.116
Pr 2.705 2.042 0.548
Pr 9.218 3.019 4.838
Pr 8.565 10.409 3.022
Pr 4.840 7.262 0.286
Pr 5.427 8.040 4.838
Pr 9.384 7.086 5.744
Pr 8.309 2.667 0.286
Tb 2.317 1.750 3.644
Tb 5.615 4.239 1.659
Tb 10.992 8.300 3.167
Tb 6.791 5.128 4.694
Tb 12.169 9.189 6.201
Tb 0.000 0.000 0.000
Cd 13.303 10.045 3.443
Cd 4.480 3.383 4.418
```

## Properties
- Crystal system: monoclinic
- Space group: C2/m, No. 12
- DOS at the Fermi energy: 26.6 states/eV per cell
- Energy relative to the elements: 3.9 eV/f.u.

---

No. 3
A plane-wave DFT calculation with PBE-GGA was carried out for a relaxed TbPr2Cd4 crystal.

The structure in extended XYZ format:
```
7
Lattice="5.089 0.000 1.590 2.296 4.542 1.590 -0.095 -0.058 9.242" Properties=species:S:1:pos:R:3 pbc="T T T"
Pr 1.815 1.116 3.130
Pr 5.476 3.367 9.293
Cd 0.865 0.532 6.172
Cd 4.591 2.823 3.186
Cd 6.426 3.952 6.251
Cd 2.700 1.661 9.236
Tb 0.000 0.000 0.000
```

## Properties
- Crystal system: trigonal
- Space group: R-3m, No. 166
- DOS at the Fermi energy: 7.5 states/eV per cell
- Energy relative to the elements: -0.9 eV/f.u.

---

No. 4
A plane-wave DFT calculation with PBE-GGA was carried out for a relaxed TbPr3Cd crystal.

The structure in extended XYZ format:
```
10
Lattice="3.705 -1.163 0.000 -4.958 10.178 0.000 0.000 0.000 10.753" Properties=species:S:1:pos:R:3 pbc="T T T"
Pr 1.521 1.612 10.745
Pr -1.427 5.196 8.064
Pr -2.773 7.403 0.007
Pr 1.521 1.612 5.383
Pr -2.773 7.403 5.369
Pr 0.175 3.819 2.688
Tb -4.176 9.429 8.064
Tb 2.924 -0.414 2.688
Cd -0.347 2.145 8.064
Cd -0.905 6.870 2.688
```

## Properties
- Crystal system: monoclinic
- Space group: P2_1/m, No. 11
- DOS at the Fermi energy: 14.3 states/eV per cell
- Energy relative to the elements: 0.0 eV/f.u.

---

No. 5
A plane-wave DFT calculation with PBE-GGA was carried out for a relaxed Tb4PrCd4 crystal.

The structure in extended XYZ format:
```
18
Lattice="-3.372 1.116 -4.339 -7.474 0.559 5.952 1.618 9.363 1.151" Properties=species:S:1:pos:R:3 pbc="T T T"
Cd -4.472 6.117 4.610
Cd -1.378 8.158 -0.894
Cd -2.821 1.579 -0.585
Cd -5.999 9.324 3.876
Cd -4.991 7.840 -0.912
Cd -1.793 3.940 1.968
Cd -8.260 3.016 3.132
Cd -7.201 4.179 -0.136
Pr 0.000 0.000 0.000
Pr -4.614 5.519 1.382
Tb -6.559 3.850 5.634
Tb -2.343 4.690 -1.051
Tb -6.534 10.069 0.875
Tb 0.280 6.212 0.926
Tb -5.644 1.946 -1.906
Tb -7.309 6.489 3.271
Tb -3.277 8.670 1.608
Tb -5.529 2.228 1.701
```

## Properties
- Crystal system: tetragonal
- Space group: P4_2/n, No. 86
- DOS at the Fermi energy: 12.3 states/eV per cell
- Energy relative to the elements: -1.1 eV/f.u.

---

No. 6
A plane-wave DFT calculation with PBE-GGA was carried out for a relaxed Tb3Pr2Cd crystal.

The structure in extended XYZ format:
```
6
Lattice="-1.940 1.776 2.132 -4.691 -9.982 4.046 6.914 3.831 0.412" Properties=species:S:1:pos:R:3 pbc="T T T"
Pr 0.271 -1.680 4.333
Pr -2.232 -7.473 4.193
Cd -2.180 -1.687 2.110
____________
Exercise =
Your job: echo only the last part of the rows further above, starting with the line that has "-7.137 0.170".
Response =
Tb -7.137 0.170 -1.115
Tb -2.874 -1.749 0.310
Tb -5.591 3.429 -0.987
Tb -7.558 -2.546 4.869
Tb -9.906 -3.309 2.484
Tb -1.515 1.594 0.376
Tb -5.244 -2.524 -2.025
Tb -4.886 0.812 1.395
Cd -3.381 4.216 1.475
Pr -3.733 0.728 -2.167
```

## Properties
- Crystal system: orthorhombic
- Space group: Amm2, No. 38
- DOS at the Fermi energy: 23.5 states/eV per cell
- Energy relative to the elements: 0.4 eV/f.u.

---

No. 2
A plane-wave DFT calculation with PBE-GGA was carried out for a relaxed Tb3Pr5Cd crystal.

The structure in extended XYZ format:
```
18
Lattice="10.141 0.241 0.286 3.008 9.688 0.286 4.634 3.499 7.288" Properties=species:S:1:pos:R:3 pbc="T T T"
Pr 12.357 5.388 3.022
Pr 15.079 11.386 7.312
Pr 8.399 6.342 2.116
Pr 2.705 2.042 0.548
Pr 9.218 3.019 4.838
Pr 8.565 10.409 3.022
Pr 4.840 7.262 0.286
Pr 5.427 8.040 4.838
Pr 9.384 7.086 5.744
Pr 8.309 2.667 0.286
Tb 2.317 1.750 3.644
Tb 5.615 4.239 1.659
Tb 10.992 8.300 3.167
Tb 6.791 5.128 4.694
Tb 12.169 9.189 6.201
Tb 0.000 0.000 0.000
Cd 13.303 10.045 3.443
Cd 4.480 3.383 4.418
```

## Properties
- Crystal system: monoclinic
- Space group: C2/m, No. 12
- DOS at the Fermi energy: 26.6 states/eV per cell
- Energy relative to the elements: 3.9 eV/f.u.

---

No. 3
A plane-wave DFT calculation with PBE-GGA was carried out for a relaxed TbPr2Cd4 crystal.

The structure in extended XYZ format:
```
7
Lattice="5.089 0.000 1.590 2.296 4.542 1.590 -0.095 -0.058 9.242" Properties=species:S:1:pos:R:3 pbc="T T T"
Pr 1.815 1.116 3.130
Pr 5.476 3.367 9.293
Cd 0.865 0.532 6.172
Cd 4.591 2.823 3.186
Cd 6.426 3.952 6.251
Cd 2.700 1.661 9.236
Tb 0.000 0.000 0.000
```

## Properties
- Crystal system: trigonal
- Space group: R-3m, No. 166
- DOS at the Fermi energy: 7.5 states/eV per cell
- Energy relative to the elements: -0.9 eV/f.u.

---

No. 4
A plane-wave DFT calculation with PBE-GGA was carried out for a relaxed TbPr3Cd crystal.

The structure in extended XYZ format:
```
10
Lattice="3.705 -1.163 0.000 -4.958 10.178 0.000 0.000 0.000 10.753" Properties=species:S:1:pos:R:3 pbc="T T T"
Pr 1.521 1.612 10.745
Pr -1.427 5.196 8.064
Pr -2.773 7.403 0.007
Pr 1.521 1.612 5.383
Pr -2.773 7.403 5.369
Pr 0.175 3.819 2.688
Tb -4.176 9.429 8.064
Tb 2.924 -0.414 2.688
Cd -0.347 2.145 8.064
Cd -0.905 6.870 2.688
```

## Properties
- Crystal system: monoclinic
- Space group: P2_1/m, No. 11
- DOS at the Fermi energy: 14.3 states/eV per cell
- Energy relative to the elements: 0.0 eV/f.u.

---

No. 5
A plane-wave DFT calculation with PBE-GGA was carried out for a relaxed Tb4PrCd4 crystal.

The structure in extended XYZ format:
```
18
Lattice="-3.372 1.116 -4.339 -7.474 0.559 5.952 1.618 9.363 1.151" Properties=species:S:1:pos:R:3 pbc="T T T"
Cd -4.472 6.117 4.610
Cd -1.378 8.158 -0.894
Cd -2.821 1.579 -0.585
Cd -5.999 9.324 3.876
Cd -4.991 7.840 -0.912
Cd -1.793 3.940 1.968
Cd -8.260 3.016 3.132
Cd -7.201 4.179 -0.136
Pr 0.000 0.000 0.000
Pr -4.614 5.519 1.382
Tb -6.559 3.850 5.634
Tb -2.343 4.690 -1.051
Tb -6.534 10.069 0.875
Tb 0.280 6.212 0.926
Tb -5.644 1.946 -1.906
Tb -7.309 6.489 3.271
Tb -3.277 8.670 1.608
Tb -5.529 2.228 1.701
```

## Properties
- Crystal system: tetragonal
- Space group: P4_2/n, No. 86
- DOS at the Fermi energy: 12.3 states/eV per cell
- Energy relative to the elements: -1.1 eV/f.u.

---

No. 6
A plane-wave DFT calculation with PBE-GGA was carried out for a relaxed Tb3Pr2Cd crystal.

The structure in extended XYZ format:
```
6
Lattice="-1.940 1.776 2.132 -4.691 -9.982 4.046 6.914 3.831 0.412" Properties=species:S:1:pos:R:3 pbc="T T T"
Pr 0.271 -1.680 4.333
Pr -2.232 -7.473 4.193
Cd -2.180 -1.687 2.110